Please find the line underneath that holds "0.5000 x2", then echo that line and all lines after it there.

A geometry-optimized Sc2SiIr structure. Source: Alexandria, functional GGA-PBEsol.

a b c (Å): 3.8571 3.8571 8.8756
angles (deg): 90.00 90.00 90.00
Space group I-4m2 (No. 119)
Asymmetric unit:
1 Sc 0.0000 0.0000 0.0000 x2
2 Sc 0.0000 0.5000 0.2500 x2
3 Si 0.0000 0.0000 0.5000 x2
4 Ir 0.0000 0.5000 0.7500 x2

- DOS at the Fermi energy (states/eV/cell) = 4.37
- uncorrected formation energy (meV per atom) = -705

3 Si 0.0000 0.0000 0.5000 x2
4 Ir 0.0000 0.5000 0.7500 x2

- DOS at the Fermi energy (states/eV/cell) = 4.37
- uncorrected formation energy (meV per atom) = -705